Military Life

Dempsey: Academia Can Lead The Way In Fixing The Military Transition

Assign class credit to Gen. Martin Dempsey, chairman of the Joint Chiefs of Staff, for airing the idea that universities, in partnership with the private sector, can take a leading role in easing the transition of veterans re-entering civilian society on return from more than a dozen years of war.

Dempsey, in addition to holding a master’s degree in national security from the Army War College, also took a master’s degree in literature from Duke University, where he wrote a master’s thesis on the Irish literary revival.

On Monday, Mar. 23, he visited the University of Southern California where 1,100 veterans, mostly from the post-9/11 wars, are securing their education on the G.I. Bill. Dempsey visited USC’s Center for Innovation and Research on Veterans and Military Families, overseen by Anthony Hassan, a Ph.D. researcher and Air Force major who served as a military psychologist with mental health teams in Iraq.

“When I return to where I do my work, I will be telling Secretary of Defense [Ashton] Carter, and VA Secretary [Robert] McDonald what you are doing here,” Dempsey told Hassan.

About 200 students and alumni, joined by USC President C.L. Max Nikias and Los Angeles Mayor Eric Garcetti, gathered in the Town and Gown Ballroom, many of the students from USC’s School of Social Work.

USC’s focus on advancing the science of clinical social work that helps active-duty military and veterans and their families with issues ranging from readjustment and transition to serious mental health issues related to military service is “unique, the first, and the best,” Nikias said.

Nikias shared with Dempsey that USC was one of only two schools that never severed ties with its Reserve Officers’ Training Corps program, the other university being Notre Dame.

“I guess I’m a Trojan now,” Dempsey quipped, which would add another school to his biography that includes West Point, Duke, the Command and Staff General College, and the Army War College.

What America’s highest-ranking military officer offered to the emerging cohort of military-oriented social workers is that universities are well situated to partner with the public and private sectors in helping veterans return to civilian society.

Garcetti, a lieutenant in the Navy Reserve with an intelligence posting, offered that the work that USC, his alma mater, is doing is “telling us things about veterans that we did not know.”

USC’s Center for Innovation and Research on Veterans and Military Families has spearheaded the Los Angeles Veterans Collaborative, an umbrella of dozens of nonprofit organizations and government agencies working on issues ranging from dropping the numbers of homeless veterans in America’s second-largest city, to initiating meaningful job programs.

Members of the LA Veterans Collaborative meet monthly to brainstorm on gaps in service or needed policy changes they identify through the collaborative’s working groups. Each working group is focused on a particular issue area regarding veterans, such as mental health or homelessness.

“Because of the extraordinary work of Anthony Hassan and CIR, we know now that 80% of veterans leave service without having a job lined up,” Garcetti said.

- - -
Below is a structure of composition C38H51BN8O6TaTe in a non-equilibrium geometry, with properties calculated with the ωB97M-V functional and the def2-TZVPD basis.

Cartesian coordinates (Å):
Ta: 0.003 0.536 -0.595
O: 3.282 2.032 4.603
C: 2.532 1.770 3.524
C: 1.138 1.695 3.559
C: 0.490 1.409 2.383
N: 1.136 1.206 1.251
C: 2.465 1.248 1.218
C: 3.213 1.530 2.328
C: 2.989 0.841 -0.119
O: 4.140 0.877 -0.430
O: 1.986 0.397 -0.889
C: -0.975 1.198 2.209
O: -1.761 1.196 3.107
O: -1.252 0.958 0.918
H: 2.732 2.204 5.379
H: 0.567 1.838 4.468
H: 4.294 1.560 2.280
C: 1.987 -3.529 -3.444
C: 0.784 -2.622 -3.184
C: -0.412 -3.074 -4.027
C: 1.113 -1.187 -3.473
C: 1.979 -0.782 -4.489
C: 1.930 0.591 -4.486
N: 1.096 0.979 -3.529
N: 0.559 -0.098 -2.880
B: 0.683 2.413 -3.219
N: 1.422 2.943 -1.960
C: 2.636 3.497 -1.882
C: 2.740 4.142 -0.666
C: 1.493 3.954 -0.052
N: 0.711 3.191 -0.826
C: 0.966 4.683 1.163
C: -0.520 4.439 1.413
C: 1.180 6.189 0.951
N: -0.808 2.431 -2.885
C: -1.724 3.237 -3.412
C: -2.903 3.093 -2.717
C: -2.650 2.141 -1.734
N: -1.357 1.741 -1.840
C: -3.667 1.626 -0.759
C: -4.760 0.859 -1.512
C: -4.269 2.787 0.034
H: 1.741 -4.557 -3.167
H: 2.863 -3.220 -2.870
H: 2.263 -3.536 -4.501
H: 0.514 -2.703 -2.140
H: -0.133 -3.125 -5.083
H: -1.253 -2.389 -3.929
H: -0.745 -4.067 -3.714
H: 2.560 -1.412 -5.140
H: 2.426 1.319 -5.110
H: 0.900 3.112 -4.173
H: 3.340 3.417 -2.697
H: 3.585 4.701 -0.295
H: 1.555 4.389 2.039
H: -1.084 4.544 0.484
H: -0.899 5.171 2.127
H: -0.734 3.460 1.821
H: 0.644 6.521 0.059
H: 2.234 6.439 0.825
H: 0.801 6.748 1.808
H: -1.467 3.869 -4.248
H: -3.837 3.597 -2.902
H: -3.184 0.961 -0.062
H: -5.242 1.501 -2.253
H: -5.527 0.519 -0.812
H: -4.358 -0.013 -2.029
H: -4.857 3.446 -0.611
H: -3.492 3.384 0.518
H: -4.931 2.400 0.812
C: 3.706 -2.980 2.135
N: 2.777 -2.355 1.192
C: 3.142 -2.404 -0.224
C: 1.620 -1.819 1.600
C: 1.266 -1.930 3.061
O: 0.835 -1.270 0.812
H: 4.614 -3.234 1.597
H: 3.292 -3.893 2.566
H: 3.970 -2.299 2.943
H: 3.257 -3.444 -0.533
H: 4.080 -1.873 -0.387
H: 2.367 -1.934 -0.818
H: 1.259 -2.974 3.379
H: 0.274 -1.510 3.208
H: 1.989 -1.400 3.685
C: -3.048 -5.555 3.689
C: -2.601 -4.524 2.686
C: -1.552 -4.772 1.816
C: -1.179 -3.867 0.822
C: -0.038 -4.241 -0.089
C: -1.899 -2.672 0.716
Te: -1.696 -1.494 -1.023
C: -2.926 -2.361 1.624
C: -3.677 -1.058 1.594
C: -3.252 -3.300 2.595
H: -2.364 -6.402 3.721
H: -4.038 -5.933 3.428
H: -3.119 -5.129 4.691
H: -1.011 -5.711 1.892
H: 0.621 -4.957 0.408
H: 0.543 -3.370 -0.367
H: -0.402 -4.713 -1.007
H: -3.000 -0.210 1.652
H: -4.368 -0.995 2.434
H: -4.258 -0.960 0.674
H: -4.053 -3.071 3.292

Max |F| = 1.3 eV Å⁻¹
HOMO-LUMO gap = 0.2375 Eh
Net charge = +1
E_HOMO = -10.30 eV
Relative energy (zero: lowest compared OMol25 entry of this formula, charge and spin) = 0.0 kcal per mole



Below is an isolated molecule of C3H5N3O, with properties calculated with the ωB97M-V functional and the def2-TZVPD basis.

Cartesian coordinates (Å):
O: -1.496 1.004 -0.454
C: -1.929 -0.306 -0.308
C: -0.474 -0.611 -0.223
- - -

Citing a Los Angeles effort to see 10,000 veterans hired by 2017, the mayor added, “It is not enough for a veteran to have a job.” Noting that the USC research indicated 22% of veterans in the research are earning at poverty level, or below, “We have to make the American dream possible for them.”

Dempsey has led troops at all levels, from platoon, to combat command in Baghdad, to global command. But he considers himself a product of education in the humanities, and a poet and scholar, as well as a soldier.

Sharing the reason for his visit, Dempsey said, “We wanted to come to a place where the private sector, and the public sector, and academia partnered to deliver services, and tap into the incredible potential of our veterans.”

Veterans with burn injuries, brain injuries and amputations “will need long-term help for the rest of their lives,” Dempsey expressed.

Most veterans, he said, “are not looking for a handout. They just want a handshake.” He added, “They are resilient,” and helped once, become “the leaders we are going to need.”

WATCH: Gen. Martin Dempsey, tell civic leaders to support returning veterans as they integrate back into their communities at the National League of Cities Conference in 2013.

Universities, Dempsey reasoned, offer fertile ground to serve as idea incubators, and a potentially effective neutral broker to bring in nonprofits and public sector partners without imposing an ideological, or political, agenda.

Citing work already achieved in job placements, mental health coordination, and housing for veterans, Dempsey said, “What you have done is unique, inspirational, and what’s more important, it’s effective.”

Blas Villalobos, a Marine infantryman from the Iraq War, who completed his master’s in social work through the USC military program, asked if a triad of university private-public partnerships should be exported nationally as an organizing model.

Academia, Dempsey said, as an organizing agent for community-based efforts at getting services to veterans and helping them with transition, “is great, because it is non-threatening.”

For time to come, Dempsey said, active-duty transition to veteran status is critical. Deployments, whether combat, stabilization, or humanitarian, are going to be the military’s focus for time to come.

“If it is waxing, or waning … it is waxing.”

If 80% of American men and women join the all-volunteer military, but do not make it a career, preparing their transition back to civil society “will have to begin at inception … not wait until they have six weeks left in service,” Dempsey said.